### Brief
Transcribe the lines further below up to the one that holds "1.18441", that line included.

### Input
- - -
# 1
C4H6N2O in the gas phase in a non-equilibrium geometry, computed with ωB97M-V/def2-TZVPD.

The geometry in ORCA input format:
```
! RIJCOSX wB97M-V def2-TZVPD def2/J DEFGRID3
* xyz 0 1
C 1.2726 -0.2496 1.9593
O 1.3544 0.4474 0.7180
C 0.3400 0.2333 -0.1278
C 0.2662 0.8118 -1.4740
C -0.8842 0.1357 -1.9201
N -1.3930 -0.6536 -0.9641
N -0.6331 -0.5946 0.1729
H 2.1819 -0.0069 2.5124
H 0.3901 0.0711 2.5225
H 1.2060 -1.3314 1.7992
H -0.6138 1.5805 -1.5498
H -1.3019 0.2373 -2.9160
H -2.3638 -0.9011 -0.8551
*
```

ΔE to the lowest compared entry with this formula, charge and spin (kcal/mol): 96.96
E_tot (Ha): -340.6404
SMILES: COc1cc[nH]n1
Frontier orbital gap (eV): 9.51
HOMO energy (eV): -8.67

***

# 2
C4H6N2O in the gas phase in a non-equilibrium geometry, computed with ωB97M-V/def2-TZVPD.

The geometry in ORCA input format:
```
! RIJCOSX wB97M-V def2-TZVPD def2/J DEFGRID3
* xyz 0 1
N -2.3344 -0.2114 0.0585
C -0.9542 0.0703 0.0170
C -0.2910 1.1500 -0.4386
C 1.1180 0.8220 -0.4516
C 1.2361 -0.4132 0.0924
O 2.3266 -1.1788 0.3337
N -0.0217 -0.9301 0.4560
H -2.5526 -0.8840 0.7903
H -2.5739 -0.6636 -0.8215
H -0.7423 2.0805 -0.7436
H 1.9149 1.4498 -0.8274
H 3.1022 -0.6470 0.1061
H -0.2276 -0.6446 1.4285
*
```

ΔE to the lowest compared entry with this formula, charge and spin (kcal/mol): 43.96
E_tot (Ha): -340.7249
SMILES: Nc1ccc(O)[nH]1
Frontier orbital gap (eV): 8.54
HOMO energy (eV): -7.77

* * * * *

# 1
14
Properties=species:S:1:pos:R:3 method="wB97M-V/def2-TZVPD" multiplicity=2 lumo_energy_ev="-8.47 / -13.67" total_charge=+2 gap_ev="11.28 / 6.06"
O -0.20201 0.57246 2.33236
C 0.07505 -0.17861 1.44887
C 0.61153 0.36128 0.13084
C -0.47208 0.23576 -0.95611
S -0.47876 -1.50590 -1.50833
N 1.00901 1.79276 0.41521
H 0.10454 -1.27871 1.58005
H 1.56314 -0.10718 -0.13612
H -0.26412 0.87624 -1.82844
H -1.46091 0.52452 -0.59237
H -1.70298 -1.61526 -2.10685
H 1.93478 1.90594 0.83864
H 0.41830 2.03602 1.24562
H 0.93055 2.44942 -0.35974



# 2
13
Properties=species:S:1:pos:R:3 method="wB97M-V/def2-TZVPD" lumo_energy_ev=-6.13 total_charge=+1 gap_ev=8.94
C -1.53872 -0.82721 0.16299
C 0.82771 -0.81487 -0.40652
C -0.26810 -0.08177 0.32265
N -0.53548 1.33982 -0.04710
S -2.90651 -0.02559 -0.11139
H -1.76000 -1.84250 0.24586
H 1.80167 -0.31438 -0.18529
H 0.69036 -0.97441 -1.46036
H 1.00005 -1.78771 0.06225
H 0.18395 -0.20907 1.66626
H 0.06603 1.48757 -0.83503
H -0.38746 2.02121 0.69538
H -2.33645 1.22939 -0.26002



# 3
12
Properties=species:S:1:pos:R:3 method="wB97M-V/def2-TZVPD" multiplicity=2 lumo_energy_ev="4.51 / 4.37" total_charge=-1 gap_ev="3.40 / 7.30"
C 2.09961 -0.03949 -0.27723
H 2.09371 1.02617 0.25830
H 1.44765 -0.32782 -1.16133
H 1.93677 -0.81021 0.55861
H 3.21347 -0.26092 -0.47717
O -0.66159 -1.45116 -0.25188
C -0.82047 -0.38588 0.34233
C -2.04870 0.44176 0.03387
H -0.19099 -0.14337 1.18441
H -2.83993 -0.18041 -0.40631
H -1.86818 1.17791 -0.76829
H -2.36137 0.95343 0.96468



# 4
12
Properties=species:S:1:pos:R:3 method="wB97M-V/def2-TZVPD" lumo_energy_ev=1.04 total_charge=0 gap_ev=10.79
C -0.58728 1.26065 0.60199
C 0.61017 0.26067 0.50535
O 0.86241 -0.06999 -0.80420
C 0.13400 -1.25620 -1.09021
H -0.69869 1.54956 1.72447
H -0.32737 2.33994 0.14826
H -1.55548 0.83977 0.12853
H 0.00361 -0.70467 1.07157
H 1.62993 0.57144 1.16268
H -1.09219 -1.21036 -0.60769
H 0.35755 -1.33463 -2.28023
H 0.66334 -2.24618 -0.56052

* * * * *

# 1
DFT (wB97M-V/def2-TZVPD) results for a 32-piece molecular cluster, C60H199N15O32 overall.

Output
Multiplicity: 1
Frontier orbital gap (hartree): 0.3240
LUMO (eV): 0.3188

```
306
C60H199N15O32 wB97M-V/def2-TZVPD
O -4.0967 -5.4471 -2.6549
H -3.7809 -6.2906 -2.9069
H -4.6606 -5.6160 -1.9197
O 3.4452 0.4900 4.6575
H 3.1164 -0.2909 4.1221
H 2.7327 1.1067 4.9004
O 0.3427 -0.9172 -6.1672
H -0.5751 -0.7932 -6.1005
H 0.4847 -1.5278 -6.8952
O -5.8960 -5.6080 -0.4113
H -5.4474 -4.7320 -0.1902
H -6.8473 -5.4530 -0.3103
O 3.5884 4.4149 1.0350
H 4.1418 4.5620 0.2532
H 2.6484 4.5163 0.7943
O -2.0400 1.6646 2.8600
- - -

### Completed
# 1
C4H6N2O in the gas phase in a non-equilibrium geometry, computed with ωB97M-V/def2-TZVPD.

The geometry in ORCA input format:
```
! RIJCOSX wB97M-V def2-TZVPD def2/J DEFGRID3
* xyz 0 1
C 1.2726 -0.2496 1.9593
O 1.3544 0.4474 0.7180
C 0.3400 0.2333 -0.1278
C 0.2662 0.8118 -1.4740
C -0.8842 0.1357 -1.9201
N -1.3930 -0.6536 -0.9641
N -0.6331 -0.5946 0.1729
H 2.1819 -0.0069 2.5124
H 0.3901 0.0711 2.5225
H 1.2060 -1.3314 1.7992
H -0.6138 1.5805 -1.5498
H -1.3019 0.2373 -2.9160
H -2.3638 -0.9011 -0.8551
*
```

ΔE to the lowest compared entry with this formula, charge and spin (kcal/mol): 96.96
E_tot (Ha): -340.6404
SMILES: COc1cc[nH]n1
Frontier orbital gap (eV): 9.51
HOMO energy (eV): -8.67

***

# 2
C4H6N2O in the gas phase in a non-equilibrium geometry, computed with ωB97M-V/def2-TZVPD.

The geometry in ORCA input format:
```
! RIJCOSX wB97M-V def2-TZVPD def2/J DEFGRID3
* xyz 0 1
N -2.3344 -0.2114 0.0585
C -0.9542 0.0703 0.0170
C -0.2910 1.1500 -0.4386
C 1.1180 0.8220 -0.4516
C 1.2361 -0.4132 0.0924
O 2.3266 -1.1788 0.3337
N -0.0217 -0.9301 0.4560
H -2.5526 -0.8840 0.7903
H -2.5739 -0.6636 -0.8215
H -0.7423 2.0805 -0.7436
H 1.9149 1.4498 -0.8274
H 3.1022 -0.6470 0.1061
H -0.2276 -0.6446 1.4285
*
```

ΔE to the lowest compared entry with this formula, charge and spin (kcal/mol): 43.96
E_tot (Ha): -340.7249
SMILES: Nc1ccc(O)[nH]1
Frontier orbital gap (eV): 8.54
HOMO energy (eV): -7.77

* * * * *

# 1
14
Properties=species:S:1:pos:R:3 method="wB97M-V/def2-TZVPD" multiplicity=2 lumo_energy_ev="-8.47 / -13.67" total_charge=+2 gap_ev="11.28 / 6.06"
O -0.20201 0.57246 2.33236
C 0.07505 -0.17861 1.44887
C 0.61153 0.36128 0.13084
C -0.47208 0.23576 -0.95611
S -0.47876 -1.50590 -1.50833
N 1.00901 1.79276 0.41521
H 0.10454 -1.27871 1.58005
H 1.56314 -0.10718 -0.13612
H -0.26412 0.87624 -1.82844
H -1.46091 0.52452 -0.59237
H -1.70298 -1.61526 -2.10685
H 1.93478 1.90594 0.83864
H 0.41830 2.03602 1.24562
H 0.93055 2.44942 -0.35974



# 2
13
Properties=species:S:1:pos:R:3 method="wB97M-V/def2-TZVPD" lumo_energy_ev=-6.13 total_charge=+1 gap_ev=8.94
C -1.53872 -0.82721 0.16299
C 0.82771 -0.81487 -0.40652
C -0.26810 -0.08177 0.32265
N -0.53548 1.33982 -0.04710
S -2.90651 -0.02559 -0.11139
H -1.76000 -1.84250 0.24586
H 1.80167 -0.31438 -0.18529
H 0.69036 -0.97441 -1.46036
H 1.00005 -1.78771 0.06225
H 0.18395 -0.20907 1.66626
H 0.06603 1.48757 -0.83503
H -0.38746 2.02121 0.69538
H -2.33645 1.22939 -0.26002



# 3
12
Properties=species:S:1:pos:R:3 method="wB97M-V/def2-TZVPD" multiplicity=2 lumo_energy_ev="4.51 / 4.37" total_charge=-1 gap_ev="3.40 / 7.30"
C 2.09961 -0.03949 -0.27723
H 2.09371 1.02617 0.25830
H 1.44765 -0.32782 -1.16133
H 1.93677 -0.81021 0.55861
H 3.21347 -0.26092 -0.47717
O -0.66159 -1.45116 -0.25188
C -0.82047 -0.38588 0.34233
C -2.04870 0.44176 0.03387
H -0.19099 -0.14337 1.18441